## File
********
Record 1
Diffraction record for Li3TiP2O8. The powder diffraction line list is calculated, not measured: it uses a crystal structure in Alexandria, relaxed with PBE and Cu Ka.
Lines closer than 0.1° are merged.

```
Li3TiP2O8
1.0
4.998 0.000 0.000
0.000 8.886 0.000
-4.436 0.000 6.454
Li Ti P O
6 2 4 16
direct
0.000 0.000 0.000
0.000 0.500 0.500
0.325 0.136 0.816
0.325 0.364 0.316
0.675 0.636 0.684
0.675 0.864 0.184
0.500 0.000 0.500
0.500 0.500 0.000
0.186 0.682 0.214
0.186 0.818 0.714
0.814 0.182 0.286
0.814 0.318 0.786
0.148 0.136 0.485
0.148 0.364 0.985
0.174 0.645 0.744
0.174 0.855 0.244
0.253 0.595 0.402
0.253 0.905 0.902
0.464 0.645 0.183
0.464 0.855 0.683
0.536 0.145 0.317
0.536 0.355 0.817
0.747 0.095 0.098
0.747 0.405 0.598
0.826 0.145 0.756
0.826 0.355 0.256
0.852 0.636 0.015
0.852 0.864 0.515
```

Top 6 peaks for 2θ from 5° to 70°, by angle:
hkl, 2θ/deg, I/Imax
0 1 1, 16.98, 100
1 1 0, 23.81, 89
0 2 1, 24.32, 47
1 1 -2, 25.57, 76
0 2 2, 34.35, 61
1 3 -1, 35.26, 58

Record 2
Diffraction record for LiTiP2O7. The powder diffraction line list is calculated, not measured: it uses a crystal structure in Alexandria, relaxed with PBE and Cu Ka.
Lines closer than 0.1° are merged.

```
LiTiP2O7
1.0
4.972 0.000 0.000
0.000 8.328 0.000
-2.161 0.000 6.715
Li Ti P O
2 2 4 14
direct
0.168 0.000 0.161
0.832 0.500 0.839
0.206 0.355 0.227
0.794 0.855 0.773
0.229 0.065 0.583
0.404 0.676 0.030
0.596 0.176 0.970
0.771 0.565 0.417
0.024 0.517 0.349
0.138 0.153 0.383
0.194 0.816 0.992
0.251 0.514 0.012
0.395 0.182 0.097
0.406 0.199 0.740
0.417 0.921 0.580
0.583 0.421 0.420
0.594 0.699 0.260
0.605 0.682 0.903
0.749 0.014 0.988
0.806 0.316 0.008
0.862 0.653 0.617
0.976 0.017 0.651
```

Top 6 peaks for 2θ from 5° to 70°, by angle:
hkl, 2θ/deg, I/Imax
0 1 1, 16.96, 100
1 1 -1, 22.13, 61
0 2 1, 25.16, 23
1 1 1, 28.29, 22
1 2 -1, 28.96, 55
1 1 -2, 29.52, 26
********

## What to do
The reader should say how many lines of the calculation results earlier on hold the word "than", as a bare number.

## Done
2